**Entries:**
-- begin --
A molecular structure, C27H40N5O4Ta, computed with the ωB97M-V functional and the def2-TZVPD basis.

ORCA input file:
```
! RIJCOSX wB97M-V def2-TZVPD def2/J DEFGRID3
* xyz 2 1
Ta 0.683 0.833 -1.084
C -2.844 -2.926 0.850
N -2.089 -2.087 -0.073
C -0.686 -2.407 -0.120
C 0.053 -2.471 1.177
C 1.524 -2.233 1.115
N 2.006 -1.067 0.342
C 3.301 -1.089 0.320
C 4.253 -0.254 -0.382
C 5.619 -0.382 -0.102
C 6.540 0.403 -0.763
C 6.102 1.316 -1.722
C 4.758 1.446 -2.032
C 3.842 0.653 -1.360
O 2.539 0.688 -1.623
C -2.691 -2.197 -1.412
C -2.037 -1.397 -2.533
C -2.305 0.100 -2.522
N -1.646 0.829 -1.407
C -2.491 1.349 -0.575
C -2.203 2.075 0.645
C -3.228 2.793 1.281
C -2.983 3.491 2.442
C -1.703 3.471 2.996
C -0.684 2.747 2.406
C -0.934 2.045 1.230
O 0.029 1.298 0.678
H -2.837 -3.987 0.558
H -3.879 -2.588 0.876
H -2.454 -2.845 1.864
H -0.177 -1.700 -0.772
H -0.485 -3.422 -0.533
H -0.220 -3.286 1.846
H -0.483 -1.599 1.936
H 1.887 -3.152 0.631
H 1.945 -2.250 2.123
H 3.801 -1.870 0.903
H 5.947 -1.102 0.639
H 7.594 0.307 -0.546
H 6.826 1.932 -2.239
H 4.417 2.138 -2.790
H -3.733 -1.884 -1.307
H -2.716 -3.254 -1.718
H -2.447 -1.787 -3.468
H -0.964 -1.570 -2.600
H -3.382 0.272 -2.463
H -1.979 0.514 -3.472
H -3.554 1.248 -0.794
H -4.218 2.800 0.840
H -3.774 4.052 2.920
H -1.501 4.031 3.901
H 0.312 2.732 2.831
C -0.153 1.897 -6.321
O 0.100 0.879 -5.327
C 0.259 1.192 -4.069
O 0.485 0.299 -3.244
N 0.142 2.488 -3.675
N 0.509 2.746 -2.326
H -0.258 1.360 -7.255
H 0.695 2.578 -6.388
H -1.081 2.424 -6.097
H 0.066 3.262 -4.315
H -0.226 3.287 -1.874
H 1.362 3.301 -2.314
C -1.439 -2.480 4.475
C -0.301 -1.521 4.150
C -0.164 -0.430 5.228
C -0.495 -0.785 2.860
H -1.282 -2.935 5.452
H -1.519 -3.294 3.751
H -2.395 -1.952 4.502
H 0.648 -2.066 4.108
H -1.074 0.170 5.291
H 0.680 0.232 5.033
H -0.009 -0.904 6.197
H 0.292 -0.106 2.554
H -1.495 -0.397 2.666
*
```

The value obtained for the HOMO energy (spin up / spin down) is -11.31 / -11.30 eV. The value obtained for the energy above the lowest of the compared OMol25 structures with the same formula, charge and spin is 70.4 kcal/mol.

---

7 unconnected molecules or ions with the total composition C27H41BBr2N7OP in a non-equilibrium geometry, computed with the ωB97M-V functional and the def2-TZVPD basis.

ORCA input file:
```
! RIJCOSX wB97M-V def2-TZVPD def2/J DEFGRID3
* xyz 0 1
C 2.292 1.923 1.579
C 3.397 2.975 1.586
C 4.732 2.484 2.116
Br 6.039 3.947 1.950
P 5.484 0.910 1.324
Br 6.392 -1.102 0.461
B 5.725 1.625 -0.458
N 4.612 1.848 -1.366
O 6.998 1.880 -0.871
H 1.873 1.783 2.568
H 2.590 0.988 1.125
H 1.491 2.308 0.957
H 3.491 3.413 0.599
H 3.067 3.786 2.229
H 4.628 2.316 3.182
H 6.578 0.998 2.190
H 4.408 0.138 1.759
H 4.939 1.671 -2.315
H 4.408 2.846 -1.361
H 7.534 2.259 -0.151
N -1.700 -1.003 1.196
C -2.563 -0.700 0.180
C -1.839 -0.097 -0.817
C -0.485 -0.045 -0.382
C -0.436 -0.614 0.861
H -1.957 -1.448 2.059
H -3.613 -0.929 0.256
H -2.237 0.264 -1.752
H 0.357 0.360 -0.918
H 0.391 -0.779 1.530
N -6.328 -1.675 -0.968
C -7.469 -0.993 -1.290
C -8.244 -0.918 -0.164
C -7.541 -1.578 0.880
C -6.363 -2.033 0.353
H -5.581 -1.884 -1.604
H -7.632 -0.625 -2.287
H -9.209 -0.447 -0.096
H -7.865 -1.706 1.899
H -5.552 -2.582 0.801
N 7.747 4.362 5.124
C 9.086 4.471 4.871
C 9.745 4.424 6.071
C 8.763 4.279 7.087
C 7.541 4.244 6.470
H 7.027 4.369 4.424
H 9.454 4.571 3.865
H 10.812 4.486 6.205
H 8.935 4.209 8.148
H 6.548 4.144 6.873
N -11.453 -0.059 -2.118
C -12.427 -0.933 -1.719
C -12.435 -1.980 -2.600
C -11.425 -1.729 -3.568
C -10.837 -0.537 -3.241
H -11.226 0.802 -1.657
H -13.027 -0.736 -0.848
H -13.091 -2.833 -2.557
H -11.161 -2.352 -4.405
H -10.037 0.010 -3.709
N 1.371 -0.649 -3.464
C 2.548 -0.133 -2.987
C 3.570 -0.719 -3.685
C 2.988 -1.617 -4.620
C 1.631 -1.551 -4.459
H 0.457 -0.406 -3.129
H 2.562 0.599 -2.197
H 4.620 -0.528 -3.539
H 3.507 -2.242 -5.326
H 0.832 -2.070 -4.959
N -0.363 -3.394 -1.193
C -0.861 -4.639 -0.919
C 0.187 -5.521 -0.921
C 1.364 -4.776 -1.202
C 0.992 -3.468 -1.363
H -0.908 -2.551 -1.255
H -1.913 -4.790 -0.747
-- stop --

**Exercise:**
Transcribe only the last part of the calculation results above, starting with the line that has "-1.407".

**Worked solution:**
N -1.646 0.829 -1.407
C -2.491 1.349 -0.575
C -2.203 2.075 0.645
C -3.228 2.793 1.281
C -2.983 3.491 2.442
C -1.703 3.471 2.996
C -0.684 2.747 2.406
C -0.934 2.045 1.230
O 0.029 1.298 0.678
H -2.837 -3.987 0.558
H -3.879 -2.588 0.876
H -2.454 -2.845 1.864
H -0.177 -1.700 -0.772
H -0.485 -3.422 -0.533
H -0.220 -3.286 1.846
H -0.483 -1.599 1.936
H 1.887 -3.152 0.631
H 1.945 -2.250 2.123
H 3.801 -1.870 0.903
H 5.947 -1.102 0.639
H 7.594 0.307 -0.546
H 6.826 1.932 -2.239
H 4.417 2.138 -2.790
H -3.733 -1.884 -1.307
H -2.716 -3.254 -1.718
H -2.447 -1.787 -3.468
H -0.964 -1.570 -2.600
H -3.382 0.272 -2.463
H -1.979 0.514 -3.472
H -3.554 1.248 -0.794
H -4.218 2.800 0.840
H -3.774 4.052 2.920
H -1.501 4.031 3.901
H 0.312 2.732 2.831
C -0.153 1.897 -6.321
O 0.100 0.879 -5.327
C 0.259 1.192 -4.069
O 0.485 0.299 -3.244
N 0.142 2.488 -3.675
N 0.509 2.746 -2.326
H -0.258 1.360 -7.255
H 0.695 2.578 -6.388
H -1.081 2.424 -6.097
H 0.066 3.262 -4.315
H -0.226 3.287 -1.874
H 1.362 3.301 -2.314
C -1.439 -2.480 4.475
C -0.301 -1.521 4.150
C -0.164 -0.430 5.228
C -0.495 -0.785 2.860
H -1.282 -2.935 5.452
H -1.519 -3.294 3.751
H -2.395 -1.952 4.502
H 0.648 -2.066 4.108
H -1.074 0.170 5.291
H 0.680 0.232 5.033
H -0.009 -0.904 6.197
H 0.292 -0.106 2.554
H -1.495 -0.397 2.666
*
```

The value obtained for the HOMO energy (spin up / spin down) is -11.31 / -11.30 eV. The value obtained for the energy above the lowest of the compared OMol25 structures with the same formula, charge and spin is 70.4 kcal/mol.

---

7 unconnected molecules or ions with the total composition C27H41BBr2N7OP in a non-equilibrium geometry, computed with the ωB97M-V functional and the def2-TZVPD basis.

ORCA input file:
```
! RIJCOSX wB97M-V def2-TZVPD def2/J DEFGRID3
* xyz 0 1
C 2.292 1.923 1.579
C 3.397 2.975 1.586
C 4.732 2.484 2.116
Br 6.039 3.947 1.950
P 5.484 0.910 1.324
Br 6.392 -1.102 0.461
B 5.725 1.625 -0.458
N 4.612 1.848 -1.366
O 6.998 1.880 -0.871
H 1.873 1.783 2.568
H 2.590 0.988 1.125
H 1.491 2.308 0.957
H 3.491 3.413 0.599
H 3.067 3.786 2.229
H 4.628 2.316 3.182
H 6.578 0.998 2.190
H 4.408 0.138 1.759
H 4.939 1.671 -2.315
H 4.408 2.846 -1.361
H 7.534 2.259 -0.151
N -1.700 -1.003 1.196
C -2.563 -0.700 0.180
C -1.839 -0.097 -0.817
C -0.485 -0.045 -0.382
C -0.436 -0.614 0.861
H -1.957 -1.448 2.059
H -3.613 -0.929 0.256
H -2.237 0.264 -1.752
H 0.357 0.360 -0.918
H 0.391 -0.779 1.530
N -6.328 -1.675 -0.968
C -7.469 -0.993 -1.290
C -8.244 -0.918 -0.164
C -7.541 -1.578 0.880
C -6.363 -2.033 0.353
H -5.581 -1.884 -1.604
H -7.632 -0.625 -2.287
H -9.209 -0.447 -0.096
H -7.865 -1.706 1.899
H -5.552 -2.582 0.801
N 7.747 4.362 5.124
C 9.086 4.471 4.871
C 9.745 4.424 6.071
C 8.763 4.279 7.087
C 7.541 4.244 6.470
H 7.027 4.369 4.424
H 9.454 4.571 3.865
H 10.812 4.486 6.205
H 8.935 4.209 8.148
H 6.548 4.144 6.873
N -11.453 -0.059 -2.118
C -12.427 -0.933 -1.719
C -12.435 -1.980 -2.600
C -11.425 -1.729 -3.568
C -10.837 -0.537 -3.241
H -11.226 0.802 -1.657
H -13.027 -0.736 -0.848
H -13.091 -2.833 -2.557
H -11.161 -2.352 -4.405
H -10.037 0.010 -3.709
N 1.371 -0.649 -3.464
C 2.548 -0.133 -2.987
C 3.570 -0.719 -3.685
C 2.988 -1.617 -4.620
C 1.631 -1.551 -4.459
H 0.457 -0.406 -3.129
H 2.562 0.599 -2.197
H 4.620 -0.528 -3.539
H 3.507 -2.242 -5.326
H 0.832 -2.070 -4.959
N -0.363 -3.394 -1.193
C -0.861 -4.639 -0.919
C 0.187 -5.521 -0.921
C 1.364 -4.776 -1.202
C 0.992 -3.468 -1.363
H -0.908 -2.551 -1.255
H -1.913 -4.790 -0.747